“I’m sorry,” she says again. “My mouth runs away with me a bit.”

“I don’t mind. I just feel stupid. I don’t know anything about… anything! I’m completely clueless, and a bit… shocked.”

“Your midwife will go through everything with you and give you tips,” she says gently, “but I hope we’re going to be best friends, so you can ask me anything. Saxon always says he’s never seen me get embarrassed.”

My throat tightens at the thought that I have a friend, someone else who might be able to navigate me through this difficult situation. “Thank you.”

~~~
C43H59CaN4O2Si2 | ωB97M-V/def2-TZVPD

Computed properties:
Orbital gap = 7.08 eV
HOMO energy = -4.5 eV
F_max = 0.49 eV/Å
Energy above the lowest of the compared OMol25 structures with the same formula, charge and spin = 269.8 kJ/mol

Structure (ORCA input):
```
! RIJCOSX wB97M-V def2-TZVPD def2/J DEFGRID3
* xyz -1 1
Ca -0.85939 -1.23860 -0.15603
C 0.20112 6.06887 0.35486
C 0.96252 4.87223 0.92345
C 1.46309 5.16400 2.34056
C 2.12729 4.45409 0.04202
C 3.05305 5.44001 -0.26044
C 4.21665 5.14839 -0.94634
C 4.48874 3.82885 -1.22776
C 3.60668 2.78873 -0.91855
C 4.21802 1.39190 -1.06562
C 5.45215 1.28558 -0.15088
C 4.68259 0.99790 -2.47394
C 2.33445 3.11622 -0.38184
N 1.25776 2.18082 -0.13536
C 0.12121 2.55135 -0.76321
O 0.03966 3.38134 -1.67935
C -1.31841 2.16142 -0.27654
C -2.12578 3.29167 -0.11973
C -3.43694 3.15070 0.27477
C -3.94537 1.88120 0.48538
C -3.11417 0.79332 0.29419
N -1.82223 0.93797 -0.08150
C -3.76253 -0.59016 0.59653
O -4.93291 -0.56333 0.98497
N -3.00009 -1.66812 0.41857
C -3.52652 -2.93071 0.79128
C -3.38805 -3.35495 2.12605
C -3.75934 -4.64970 2.46569
C -4.25042 -5.52755 1.51378
C -4.37500 -5.10286 0.20391
C -4.02374 -3.81057 -0.18375
C -4.12918 -3.50355 -1.67438
C -4.75135 -2.17699 -2.10650
C -2.76982 -3.70937 -2.34785
C -2.86768 -2.40847 3.18747
C -4.02918 -1.69236 3.88403
C -1.95636 -3.08125 4.21183
H -0.71880 6.24497 0.92014
H -0.05495 5.89969 -0.69137
H 0.79299 6.98505 0.42096
H 0.27237 4.03817 1.01570
H 2.19841 5.97264 2.33775
H 1.93809 4.28293 2.77551
H 0.63459 5.46256 2.98832
H 2.85944 6.45800 0.05782
H 4.92080 5.92933 -1.20640
H 5.43275 3.57206 -1.69341
H 3.47493 0.66203 -0.76092
H 6.28898 1.84324 -0.57782
H 5.76790 0.24164 -0.06848
H 5.27533 1.66725 0.85145
H 5.12579 1.84071 -3.01034
H 3.88118 0.59897 -3.08434
H 5.44703 0.21972 -2.39692
H -1.70256 4.25879 -0.33383
H -4.06350 4.02377 0.41197
H -4.96149 1.68842 0.79434
H -3.65399 -4.98087 3.49144
H -4.52908 -6.53645 1.79203
H -4.75429 -5.78207 -0.55284
H -4.80772 -4.27599 -2.05392
H -4.06955 -1.33616 -2.00296
H -5.65063 -1.94433 -1.53775
H -5.01379 -2.24669 -3.16603
H -2.03677 -2.99545 -1.95980
H -2.83493 -3.55071 -3.42654
H -2.37679 -4.71060 -2.16407
H -2.27500 -1.63962 2.68532
H -4.61615 -2.41174 4.46379
H -4.69274 -1.21821 3.16219
H -3.65337 -0.93300 4.57439
H -2.51452 -3.75049 4.87101
H -1.48210 -2.32580 4.84090
H -1.16545 -3.66072 3.73207
C 3.01818 0.94838 1.85972
Si 1.48571 0.30583 0.97031
C 1.47856 -1.41172 2.04429
C 0.00937 0.86782 2.09291
C 1.37599 -0.54861 -0.71678
C 1.67105 -2.01648 -0.67783
C 2.98992 -2.50767 -0.59096
C 3.24288 -3.85650 -0.60778
C 2.17728 -4.75473 -0.69679
C 0.90672 -4.23337 -0.76235
N 0.65465 -2.91944 -0.75053
Si 0.91645 -0.11950 -2.47060
C -0.96723 0.05543 -2.84823
C 1.37976 -1.58785 -3.58001
C 1.54889 1.40421 -3.38725
H 2.72033 0.95540 2.91300
H 3.36976 1.94326 1.60350
H 3.85028 0.24771 1.77341
H 1.46624 -1.13605 3.10391
H 2.34920 -2.05477 1.88987
H 0.61121 -2.08835 1.92770
H 0.47331 0.81222 3.08207
H -0.86472 0.20953 2.15671
~~~

We both have a bite of our wraps. I eat mine slowly, savoring each mouthful, as I think about what she’s told me. “You said that your accident affected Saxon a lot over the years. Are you referring to the way the guys are interested in prosthetics?”

“Partly. It’s definitely why they got into it. Right from when they were teenagers they were determined to improve the prostheses that were available. But I didn’t just mean that.” She looks down at Eddie, adjusts his position, then has another bite of her wrap. “It affected Saxon more deeply than the others. He got very angry after Christian’s death. Neal and Mae took all the boys to counseling, but I think Saxon needed it most. Maybe it made him think about his own mortality, I don’t know, but he started taking lots of risks, and doing extreme sports, that kind of thing.”


“Yeah, he still does, although he doesn’t have as much time now. You know he likes motorbikes?”

I remember the two shining machines in his garage. “Yes.”

“He used to go motorcycle racing. I think now he just takes the bikes out in his spare time, but it used to be terrifying watching him go a million miles an hour around the track. He’s been bungee jumping and skydiving, and he loves skiing and snowboarding.”


“Yeah, he’s pretty good. He competed for a while, but not so much lately. We all joke that he’s got nine lives, but I think he’s used up about five already. He’s broken about fifteen bones.”


“He’s had several bad accidents. One was with Titus—you know about him?”

“Yes, his other cousin?”

“Yeah, on his mum’s side. All the guys went camping in Kahurangi National Park. It grew foggy and they got lost. Saxon tried to jump across some gulley, fell, twisted his ankle, and got a concussion. Titus was a couple of years older and looked after them until they were found. It was pretty scary, by all accounts.”


We both have a bite of our wraps.

“Anything else you want to know about him?” she asks.

“What was Renie like?”

She looks surprised. “His ex? I didn’t know her that well.”

“You weren’t good friends?”

She smiles. “Not like we’re going to be. He wasn’t with her long, a few months? I always got the feeling that moving in together wasn’t his idea. She thought she should be a higher priority than his work. He didn’t. That kind of sums up their relationship. You don’t have to worry about her.”

She turns Eddie around on her lap, hooks up her bra, then puts him to the other breast. “Saxon said you have another scan next week. He’s going to be in Auckland, so would you like me to go with you?”

“Oh. You’d do that?”

“Of course! I love baby stuff. Mat Clinton was my obstetrician. Your midwife is his wife, right?”

“I don’t know… I haven’t decided where I’ll be having the babies yet.”

“Mat’s clinic is great, I can highly recommend it. Where else do you have in mind?”

“I’m considering somewhere in the public system,” I say softly.

She licks her fingers, then studies me for a moment. “He said you were wary about accepting anything from him. The thing is… you know ours is a wealthy family, right?”